114:00 — FICO® Xpress: New and Augmented Interfaces for Modeling Optimization Problems

A fast, scalable, and easy-to-use programming interface (API) is an essential component when working with commercial high-end optimization solvers. As such, FICO® Xpress has been offering interfaces for an ever-growing set of programming languages (C, C++, Java, C#, Python, R).

This talk gives an overview of these interfaces, with a particular focus on the most recent enhancements. We will focus on the APIs for Java, C#, and Python. The new, augmented FICO® Xpress APIs for Java and C# leverage modern language constructs They have been designed as an object-oriented layer ensuring a memory-efficient and reliable experience for the user. With the augmented API, the use of solver features such as callbacks becomes easier, and it gives access to the full set of problem types available with FICO® Xpress.

........
(1)
Here is 10 unconnected molecules or ions with the total composition C50H114F15N9O24S5 at a distorted geometry from OMol25. Energies are from wB97M-V/def2-TZVPD.

XYZ file:
```
217
Properties=species:S:1:pos:R:3:forces:R:3:lowdin_charge:R:1
C 0.7820 1.4746 -0.6747 1.4 1.0 -1.1 -0.0386
C 0.2267 0.5566 0.3383 -2.8 -0.5 -0.3 -0.4848
C -1.1509 0.0260 -0.2043 0.0 -1.2 -1.6 -0.1253
C -0.9552 -1.1158 -1.2147 1.1 -1.1 -0.4 -0.1747
C -0.0258 -2.2339 -0.7094 0.3 0.1 -0.4 -0.1253
C 1.3978 -1.7241 -0.2787 -2.3 0.4 0.7 -0.4361
N 1.0564 -0.6229 0.6659 -0.5 0.2 1.8 -0.1711
O 2.0504 -0.2411 1.6046 0.9 -0.5 -0.2 -0.2879
C 2.2045 -1.3573 -1.5440 0.5 -0.1 0.3 -0.0073
C 2.1026 -2.8852 0.4740 0.7 0.5 -0.2 -0.0133
C -0.2680 1.3961 1.5530 0.8 -1.2 2.0 -0.0258
H 1.7972 1.7507 -0.3895 0.2 0.0 0.0 0.0707
H 0.2548 2.4245 -0.7637 -0.3 -0.1 0.1 0.0897
H 0.8303 1.0338 -1.6704 0.0 -0.1 -0.1 0.0770
H -1.7108 0.7239 -0.8269 0.2 0.9 0.4 0.0981
H -1.8566 -0.2895 0.5641 0.3 -0.1 0.4 0.1046
H -0.5396 -0.7615 -2.1580 0.3 0.6 0.0 0.0917
H -1.8385 -1.6150 -1.6133 -0.5 0.2 0.7 0.0853
H 0.1303 -3.0020 -1.4670 0.0 0.0 -0.5 0.0943
H -0.5913 -2.7814 0.0446 0.4 0.1 0.8 0.0912
H 2.7108 -2.2493 -1.9131 0.2 0.1 0.0 0.0724
H 2.9455 -0.6088 -1.2636 0.1 -0.4 -0.2 0.0462
H 1.7091 -0.9238 -2.4128 -0.6 0.0 0.3 0.0758
H 2.1843 -3.7425 -0.1942 -0.3 -0.1 0.0 0.0608
H 1.6916 -3.1993 1.4334 -0.8 0.1 -0.2 0.0661
H 3.1344 -2.6793 0.7590 0.2 0.5 -0.3 0.0601
H -1.2795 1.8019 1.5379 0.0 0.1 -0.9 0.0825
H 0.3606 2.1378 2.0459 0.5 0.3 -0.9 0.0587
H -0.3099 0.6855 2.3784 -0.3 -0.3 0.0 0.0381
C 2.1758 3.3667 4.0150 0.9 0.1 1.7 -0.1151
O 2.2630 4.7572 4.2258 -0.3 1.8 -2.1 -0.1712
C 1.7866 5.6547 3.1696 0.5 0.4 0.4 -0.1349
C 2.7108 5.8923 1.9207 0.8 0.8 0.1 -0.0509
N 2.6376 7.3533 1.4090 1.8 -1.6 -0.4 0.0596
H 1.6711 7.5729 1.2143 -1.1 0.4 -1.0 0.0322
H 2.8131 8.0517 2.1172 0.7 0.0 0.9 0.1443
C 3.6140 7.7125 0.2377 0.3 -0.6 1.6 -0.0207
C 5.1049 7.9272 0.7697 -2.3 1.7 1.3 -0.1341
O 5.0035 8.8664 1.8926 0.2 -0.8 -0.8 -0.2042
C 6.2942 9.2258 2.3521 0.9 0.8 -0.4 -0.1137
H 2.6942 2.9857 4.8948 -0.4 -0.1 0.6 0.0832
H 2.8894 2.9360 3.3126 -0.9 0.2 -1.3 0.0847
H 1.1325 3.0651 4.1086 0.1 -0.5 -0.9 0.0896
H 1.6199 6.6184 3.6511 0.7 0.1 0.4 0.1184
H 0.7569 5.5300 2.8345 -0.1 -1.2 -0.2 0.1150
H 2.5153 5.2360 1.0726 -0.5 0.2 0.0 0.1111
H 3.7837 5.7724 2.0704 -0.1 -0.3 0.8 0.1129
H 3.1347 8.5870 -0.2021 0.5 0.1 0.0 0.1345
H 3.6114 6.8938 -0.4819 -0.2 0.1 0.1 0.1011
H 5.6698 8.4213 -0.0207 0.2 -0.4 -0.2 0.1289
H 5.5868 7.0533 1.2082 0.0 -0.4 -0.7 0.1104
H 6.9904 8.4022 2.5110 -0.5 -0.6 0.7 0.0848
H 6.2457 9.9210 3.1903 -0.4 -0.5 0.2 0.0993
H 6.8848 9.7830 1.6249 -0.4 0.4 -0.7 0.0859
C -3.8476 -4.7535 -0.1725 -0.5 0.0 0.4 -0.0981
O -3.5601 -5.3774 -1.3889 -0.2 -0.9 -2.1 -0.1873
C -4.7289 -5.4957 -2.2550 -0.2 0.6 1.9 -0.1962
C -4.4654 -6.3333 -3.4570 2.1 0.9 -0.1 -0.0491
N -3.2000 -5.7556 -4.1651 -2.9 0.6 -1.8 0.0963
H -2.4114 -5.7009 -3.5364 0.4 0.4 0.3 0.1442
H -3.0160 -6.3979 -4.9226 0.6 -0.4 -0.1 0.1655
........

214:30 — Practical guidelines for model improvement and reformulation

I will share insights and lessons learned from helping Gurobi customers from a wide range of industries adjust their optimization models to improve solver performance and numerical behavior. We will look at the challenges that we see most often in LP, MIP and MINLP models, and discuss our approach and typical recommendations to help address them. We will also consider some well-known modeling “rules of thumb” and discuss how applicable they are in 2024.

315:00 — What's new in JuMP

JuMP is an algebraic modeling language for mathematical optimization embedded in the Julia programming language. JuMP combines the convenience of a high-level, solver-independent modeling syntax with great performance, making it suitable for a range of applications spanning from teaching to continent-scale energy system modeling. In this talk, we present major developments since the 1.0 release two years ago. These include a new nonlinear programming interface and support for problem classes like multi-objective optimization, constraint programming, nonlinear mixed-complementarity problems, rational linear programming, and others.

415:30 — OptiChat: An AI Assistant for Explaining Optimization Models Powered by LLM

Between two parts of the article: calculated molecules.
1.
DFT (ωB97M-V/def2-TZVPD) results for a cluster of 2 separate species, C6H17NO in total at a distorted geometry.

Each line ends with the natural charge from an NBO analysis.
Element x y z (Å)
C  1.770  -1.610  -0.825  -0.41
N  0.403  -1.166  -0.760  -0.64
C  0.231  0.297  -0.788  -0.07
C  -1.297  0.551  -0.575  -0.38
C  -1.727  0.868  0.864  -0.39
C  -1.475  -0.279  1.882  -0.66
C  0.718  0.957  -2.067  -0.64
H  1.871  -2.694  -0.790  0.21
H  2.298  -1.335  0.093  0.18
H  2.347  -1.265  -1.688  0.17
H  -0.215  -1.645  -1.398  0.36
H  0.657  0.621  0.160  0.19
H  -1.537  1.432  -1.180  0.20
H  -1.892  -0.270  -0.953  0.19
H  -1.186  1.768  1.164  0.19
H  -2.790  1.095  0.807  0.21
H  -0.679  -0.925  1.531  0.23
H  -2.402  -0.850  1.931  0.22
H  -1.428  0.182  2.870  0.21
H  1.314  1.861  -1.944  0.22
H  -0.088  1.328  -2.699  0.21
H  1.281  0.261  -2.688  0.21
H  1.810  -0.214  2.023  0.47
H  0.542  0.578  2.400  0.47
O  1.474  0.455  2.632  -0.94

Atoms 1-3, force components in eV/Å:
C 0.45 -0.52 0.33
N 0.11 0.11 0.31
C -1.94 -1.15 0.46

## Properties
**E_HOMO**: -0.3276 hartree
**LUMO**: 0.036 Eh
**Relative energy (zero: lowest compared OMol25 entry of this formula, charge and spin)**: 89.7 kJ/mol
**Net charge**: 0
**DFT total energy**: -10034.65293 eV
**Frontier orbital gap**: 9.9 eV



2.
DFT (ωB97M-V/def2-TZVPD) results for a cluster of 3 separate species, C2H10NO2S in total at a distorted geometry.

Each line ends with the natural charge from an NBO analysis.
Element x y z (Å)
C  -0.478  -0.623  -0.292  -0.24
C  -1.403  -1.660  0.419  -0.53
S  -0.842  -1.918  2.160  -0.74
N  0.941  -1.028  -0.370  -0.87
H  -0.538  0.283  0.326  0.17
H  -0.950  -0.360  -1.252  0.16
H  -1.391  -2.552  -0.160  0.16
H  -2.422  -1.275  0.483  0.18
H  0.827  -2.074  -0.441  0.36
H  1.365  -1.058  0.563  0.39
H  1.832  1.427  -2.415  0.45
H  1.693  0.144  -1.457  0.51
O  2.325  0.660  -2.050  -1.01
H  -0.255  4.105  1.561  0.45
H  -0.634  2.731  1.165  0.47
O  -0.071  3.199  1.763  -0.92

Atoms 1-3, force components in eV/Å:
C -1.04 0.37 1.41
C 0.97 1.48 1.11
S -0.02 -0.22 -0.42

## Properties
**E_HOMO**: -0.0976 hartree
**LUMO**: 0.117 Eh
**Relative energy (zero: lowest compared OMol25 entry of this formula, charge and spin)**: 63.4 kJ/mol
**Net charge**: -1
**DFT total energy**: -18657.31044 eV
**Frontier orbital gap**: 5.8 eV



3.
DFT (ωB97M-V/def2-TZVPD) results for a cluster of 2 separate species, C32H30N3O in total at a distorted geometry.

Each line ends with the natural charge from an NBO analysis.
Element x y z (Å)
C  -3.570  -0.670  2.902  -0.28
C  -2.958  -1.899  3.191  -0.21
C  -1.566  -1.990  3.217  -0.26
C  -0.769  -0.857  2.944  -0.06
C  0.688  -0.872  2.968  0.00
N  1.269  0.328  2.988  -0.39
C  2.405  0.728  2.515  -0.27
C  2.932  2.019  2.754  0.26
N  3.512  3.037  2.847  -0.46
C  1.487  -2.098  2.917  0.04
C  1.034  -3.234  2.210  -0.26
C  1.826  -4.377  2.119  -0.22
C  3.097  -4.397  2.707  -0.27
C  3.582  -3.261  3.370  -0.21

Mathematical optimization has wide applications in real-world decision-making problems such as aircraft crew scheduling, smart grid operation, and health care. One of the primary barriers to deploying optimization models in practice is the challenge of helping practitioners understand and interpret such models. The research to help non-experts understand optimization models has a long history. In the 1980s, Harvey Greenberg developed the ANALYZE software, an expert system that relies on a specific syntax tailored for optimization problems. The downside of expert systems is that they still require a fair amount of domain knowledge and optimization background. In the pioneering paper, Greenberg insightfully foresaw that “Ideally, one would like to move toward a natural language query system where the descriptions are resident with the model in a way that permits more automation to obtain answers.” However, to the best of our knowledge, such a natural language-based system envisioned by Greenberg has not been developed due to the lack of a general-purpose language model. Recently, large language models (LLMs) such as GPT-4 and LLaMA have achieved remarkable success in diverse applications, opening new ways of developing software for analyzing optimization models. In this presentation, we develop a natural language-based system, OptiChat, for analyzing (mixed-integer) linear programs. It is an agent-based autonomous system that coordinates the user, the optimization model, the optimization solver, and the LLM. The non-expert user is interested in understanding the optimization model written in an algebraic modeling language that has symbolic expressions of the decision variables, the input parameters, the constraints, and the objective. OptiChat can provide high-level model descriptions, diagnose and resolve infeasibility for infeasible problems, explain why a solution is optimal, and answer any interactive questions of the user such as "what if" questions.